Sunday, April 02, 2006

'Pretty Useless' lives!

As it may be a day or so yet before Chris Hall completes the mammoth task of overhauling, I'll announce it here that my story 'Pretty Useless Says' is now live at

And pretty lovely it looks too. Check it out folks, and let me know what you think.


Gerard Brennan said...

Hey Mike,

Just read Pretty Useless. Cool idea! I really liked the first line. I was caught from the start.

I don't do an awful lot of online gaming but I was able to get into this story very easily. Dion's internet attitude was perfect (this type of guy pops up in every forum as well doesn't he?). Such a good idea. :)

Ah well, back to the old spreadsheets. Thanks for the ten minute escape.

Michael Stone said...

Thanks for the kind remarks, mate. You might be interested to know that the storyline is based on personal experience.

I'm a big fan of First Person Shooter games, and tried my hand at Half-Life 2: Deathmatch, which is an online free-for-all i.e. no teamwork, if it moves, kill it!

Like the heroine of the story I was singled out by one individual -- named Dion -- who just wouldn't give me space to get my bearings. After about the tenth execution, he sent the message: "Man you suck dick". It shouldn't have bothered me but I swear I wanted to kill him! Of course, I couldn't, so I wrote 'Pretty Useless Says' instead.

I've never played an online game since. *cue violins*

Gerard Brennan said...

That's just made the story all the more enjoyable. Writer's revenge, you can't beat it eh? I was once cut off on the motorway by an SLK (very uncool) but seeing as how I'm a law abiding citizen I wrote road rage. I'm also a very bad pool player. :)

Michael Stone said...

Having read Pool Sharks, there's no way I'd play against you. Nor would I accept a lift in your car either. It's not a Fiesta by any chance, is it? Nmaed Freddy?

Gerard Brennan said...

It's a focus, but yeah, I call it Freddie, much to my wife's annoyance. :)

So we're agreed, you won't play me at pool and I won't play you at Half-Life 2.

Between two parts of the page: data records:
____________
# SnH6C2S

Crystalline SnH6C2S at its relaxed geometry (PBE, Materials Project).

Lattice parameters (Å, degrees): 10.211 10.211 18.075 90.00 90.00 90.00
Space group P4_32_12 (No. 96)
Symmetry-distinct sites (fractional):
Sn (0.073, 0.073, 0.000) [4 per cell]
Sn (0.090, 0.233, 0.592) [8 per cell]
H (0.006, 0.624, 0.367) [8 per cell]
H (0.008, 0.844, 0.861) [8 per cell]
H (0.040, 0.423, 0.694) [8 per cell]
H (0.040, 0.452, 0.362) [8 per cell]
H (0.051, 0.070, 0.707) [8 per cell]
H (0.065, 0.159, 0.142) [8 per cell]
H (0.107, 0.294, 0.084) [8 per cell]
H (0.110, 0.223, 0.297) [8 per cell]
H (0.175, 0.228, 0.892) [8 per cell]
C (0.047, 0.427, 0.634) [8 per cell]
C (0.081, 0.137, 0.329) [8 per cell]
C (0.124, 0.190, 0.095) [8 per cell]
S (0.106, 0.840, 0.024) [8 per cell]
S (0.237, 0.763, 0.250) [4 per cell]

Calculated values
MP2020-corrected energy	-49.0	eV/f.u.
calculated density	1.91	g cm⁻³
energy relative to the elements	-0.207	eV/atom

* * * * *

HgAu3 r2SCAN optimized geometry; formation enthalpy at 0 K = 42 meV/atom; E_tot = -50.239 eV per atom; spin magnetization = 0.000 μB per atom; space-group type = P6_3/mmc, No. 194
1.0
5.858 0.000 0.000
-2.929 5.073 0.000
0.000 0.000 4.983
Hg Au
2 6
Cartesian
0.000 3.382 1.246
2.929 1.691 3.737
0.000 1.676 3.737
-1.478 4.235 3.737
1.451 0.838 1.246
1.478 4.235 3.737
4.407 0.838 1.246
2.929 3.397 1.246

* * * * *

## GaCo2Ni (PBE-GGA)

Data for a geometry-optimized GaCo2Ni structure.

a b c (Å): 3.5160 3.5160 3.7492
angles (deg): 90.00 90.00 90.00
Last column: nearest neighbours and their distance in Å.
Space group P4/mmm (No. 123)
Asymmetric unit:
Ga  0.0000  0.0000  0.0000 x1  4 Ni 2.49, 8 Co 2.57
Co  0.0000  0.5000  0.5000 x2  4 Co 2.49, 4 Ni 2.57, 4 Ga 2.57
Ni  0.5000  0.5000  0.0000 x1  4 Ga 2.49, 8 Co 2.57

Computed properties:
The formation energy comes out at -0.13 eV per atom. As for the calculated volume: 11.59 Å³ per atom. Its total energy is -5.88 eV/atom.

* * * * *

A:
This record from the Materials Project database describes a relaxed structure of ZnNiF5. The functional is PBE+U.

Cell: 5.1810 5.1811 7.4313 Å, 98.27 108.36 109.96°
Closest atoms and distances in Å follow each position.
Space group P1 (No. 1)
Asymmetric unit:
Zn (0.0000, 0.0000, 0.0000) (multiplicity 1)  5 F 1.96-2.08
Zn (0.4216, 0.9215, 0.4992) (multiplicity 1)  5 F 1.96-2.08
Ni (0.2129, 0.4616, 0.7493) (multiplicity 1)  6 F 1.82-2.02
Ni (0.7100, 0.4604, 0.2497) (multiplicity 1)  6 F 1.82-2.02
F (0.0769, 0.5733, 0.4981) (multiplicity 1)  2 Ni 2.02, 1 Zn 2.06
F (0.1185, 0.7228, 0.8772) (multiplicity 1)  1 Ni 1.83, 1 Zn 1.96
F (0.3109, 0.2008, 0.6268) (multiplicity 1)  1 Ni 1.82, 1 Zn 1.96
F (0.3442, 0.3472, 0.0006) (multiplicity 1)  2 Ni 2.02, 1 Zn 2.05
F (0.4626, 0.1423, 0.2907) (multiplicity 1)  1 Ni 1.84
F (0.5693, 0.7522, 0.7915) (multiplicity 1)  1 Ni 1.84
F (0.5758, 0.6774, 0.3798) (multiplicity 1)  1 Ni 1.82, 1 Zn 1.96
F (0.8437, 0.2430, 0.1195) (multiplicity 1)  1 Ni 1.82, 1 Zn 1.96
____________

Michael Stone said...

That's right, I meant Focus, not Fiesta. I'm not too hot on cars, was always more of a bike man. But, ha, Road Rage really owes it's existence to some arse in a Merc SLK. That's cool, I like that.

But hey, a face-off: you come armed with your pool cue (and blue chalk), and I'll bring my HEV suit and rocket-propelled grenade launcher. The only rule of combat is we must stand at least fifty yards apart. I think we might just be on even terms then.

Michael Stone said...

Trust me, when the website is finished, everyone I know will hear about it. (c:

So how's it coming along, bud?